Bro, do you even lift?

Boost your floral impact. Level up your plants. Uplift your patio garden. Raise the roots. Great, we got a bunch of hanging basket related puns up and out of the way (that’s the last one... because these plants are over it).

Hanging baskets are the unappreciated heroes of the patio. Whether suspended from a shepherd’s hook above your perennial flower bed, or dangling from that one random hook on the underside of your pergola, hanging baskets extend your growing areas while bringing visual interest closer to eye level.

While you can certainly opt for a nice leafy fern, or one of those pre-picked petunia variety baskets that come in 31 flavor profiles like some sort of botanical Baskin Robbins, it’s nice to be able to grow something that the neighbors aren’t also growing.

A few quick rules for planting with hanging baskets

  • Don’t plant heavily. You want lightweight soil with lightweight plants, otherwise your shepherd’s hook will lean awkwardly until a light breeze causes your hanging basket to become just an ordinary pot, sitting on the ground with dirt splashed all around it.
  • No tall plants. One of the goals of hanging baskets is to allow the plants to spill over the sides and start a downward climb. Nobody successfully grows corn in a hanging basket. Nobody.
  • Shallow rooted plants are best. You have very limited space for roots when you plant in hanging baskets, so you don’t want to plant anything that requires a significant root system to grow well.
  • Water often. Containers often need more frequent watering than in-ground plants, because their roots are unable to tap into the water table below the surface. Hanging plants are even more susceptible to drying out because there is air flow all around them. Roots don’t need or want wind. Opting for a coconut coir basket liner will not only look better than those bright pink plastic baskets you get at your local greenhouse, but they also help retain moisture to keep your plants happy throughout the day.

********
Structure and theoretical powder diffraction line list of PmSbP (a DFT-relaxed cell (PBE, Alexandria); Cu Kα, 1.54184 Å).
Peak positions follow from Bragg's law for the DFT cell and can differ from measured ones.

Most intense lines, 5° ≤ 2θ ≤ 70°, low angle first:
two_theta, Rel. int.
16.87, 23.6
23.92, 46.2
31.81, 70.3
34.10, 100.0
36.22, 14.0
45.61, 25.5
47.34, 20.9
52.16, 16.7
58.16, 48.2
66.52, 17.3

Lattice parameters (Å, degrees): 3.9780 3.9780 10.5127 90.00 90.00 90.00
Fractional coordinates of all 6 atoms:
Pm 0.0000 0.0000 0.0000
Pm 0.5000 0.5000 0.5000
Sb 0.0000 0.0000 0.3172
Sb 0.5000 0.5000 0.8172
P 0.0000 0.0000 0.5606
P 0.5000 0.5000 0.0606

***

Structure and theoretical powder diffraction line list of Rb2NaCuO2 (a DFT-relaxed cell (PBE, Alexandria); Cu Kα, 1.54184 Å).
Peak positions follow from Bragg's law for the DFT cell and can differ from measured ones.

Most intense lines, 5° ≤ 2θ ≤ 70°, low angle first:
two_theta, Rel. int.
23.92, 13.7
28.02, 34.4
30.32, 36.0
31.91, 100.0
35.01, 27.0
37.60, 33.2
39.39, 19.4
45.43, 17.5
49.97, 15.3
60.85, 15.2

Lattice parameters (Å, degrees): 6.1567 10.2533 3.9930 90.00 90.00 90.00
Fractional coordinates of all 12 atoms:
Rb 0.1254 0.2489 0.0000
Rb 0.3746 0.7489 0.5000
Rb 0.6254 0.2511 0.5000
Rb 0.8746 0.7511 0.0000
Na 0.0000 0.0000 0.5000
Na 0.5000 0.5000 0.0000
Cu 0.0000 0.5000 0.5000
Cu 0.5000 0.0000 0.0000
O 0.2344 0.9201 0.0000
O 0.2656 0.4201 0.5000
O 0.7344 0.5799 0.5000
O 0.7656 0.0799 0.0000

***

Structure and theoretical powder diffraction line list of Cu7Pt5 (a DFT-relaxed cell (PBE, Alexandria); Cu Kα, 1.54184 Å).
Peak positions follow from Bragg's law for the DFT cell and can differ from measured ones.

Most intense lines, 5° ≤ 2θ ≤ 70°, low angle first:
two_theta, Rel. int.
11.06, 22.0
19.88, 13.2
25.93, 11.6
27.78, 12.2
36.62, 11.2
41.08, 100.0
41.33, 96.1
47.82, 32.2
48.01, 62.1
69.89, 10.1

Lattice parameters (Å, degrees): 3.8044 5.3837 8.0033 90.00 90.00 90.00
Fractional coordinates of all 12 atoms:
Cu 0.0000 0.0000 0.0000
Cu 0.0000 0.5000 0.3298
Cu 0.0000 0.5000 0.6702
Cu 0.5000 0.2517 0.1614
Cu 0.5000 0.2517 0.8386
Cu 0.5000 0.7483 0.1614
Cu 0.5000 0.7483 0.8386
Pt 0.0000 0.0000 0.3188
Pt 0.0000 0.0000 0.6812
Pt 0.0000 0.5000 0.0000
Pt 0.5000 0.2528 0.5000
Pt 0.5000 0.7472 0.5000

***

Structure and theoretical powder diffraction line list of BAsO4 (a DFT-relaxed cell (PBE, Alexandria); Cu Kα, 1.54184 Å).
Peak positions follow from Bragg's law for the DFT cell and can differ from measured ones.

Most intense lines, 5° ≤ 2θ ≤ 70°, low angle first:
two_theta, Rel. int.
22.14, 19.6
23.72, 45.2
25.40, 13.8
27.95, 100.0
39.82, 13.6
41.02, 15.1
45.16, 12.3
52.52, 15.0
52.63, 10.3
63.83, 13.0

Lattice parameters (Å, degrees): 4.6367 4.6367 10.5208 90.00 90.00 120.00
Fractional coordinates of all 18 atoms:
B 0.0000 0.5366 0.1667
B 0.4634 0.4634 0.5000
B 0.5366 0.0000 0.8333
As 0.0000 0.5410 0.6667
As 0.4590 0.4590 0.0000
As 0.5410 0.0000 0.3333
O 0.0855 0.3945 0.0565
********

Here are a couple of plant ideas to get you started


Certainly one of the most delicious plants you can grow in a hanging basket, strawberries are often grown in containers high off the ground due to their vining nature. Strawberry plant leaves tend to brown and crisp in the hot summer months, which makes them great candidates for hanging baskets. When summer comes, move them to an area that gets a bit more shade throughout the day.


A hanging basket is the ideal planting location for this vining flower. BONUS: in addition to it’s unique flowers and leaf patterns, every part of the nasturtium plant is edible! Add a couple of flowers and leaves into a salad at your next BBQ, and your guests will be letting all the grilled meat get cold while they Instagram their masterpiece salad.


Lettuce is a great choice for hanging baskets because they are light weight, they don’t need a lot of attention, and you can mix and match different colored/patterned lettuce varieties in the same basket for added visual interest.


Yeah, okay, I dissed petunias at the beginning of this article, but these are so tiny and cute! With hundreds of tiny petunia-like blooms on each plant, it’s no wonder they have the nickname ‘million bells.’ When properly taken care of, these flowers will bloom from spring all the way until the first frost, with them actually being perennial in warmer climates. Pro-tip: Calibrachoa plants don’t like damp soil, so make sure your hanging basket has good drainage. If they start to wilt, they might be getting root rot from being watered too often.


Herbs are great for 3 reasons. They smell amazing, they taste amazing, and some of them act as natural mosquito repellents. Amazing. Try a combination of thrillers and spillers to get the most bang for your buck out of these baskets. Recommendations include oregano, thyme, and marjoram to spill over the sides of the baskets, and basil and lemon balm to add height and mosquito repelling impact. Bonus points if you use green AND purple basil for a stunning visual contrast.

Cherry Tomatoes

This one is for you overachievers out there. There are several cherry tomato varieties that do extremely well in hanging baskets because they have a tendency to want to grow sideways or downward instead of growing up. The most popular hanging variety is the ‘Tumbling Tom,’ which is available in both red and yellow. Other great hanging varieties include ‘Red Robin,’ ‘Whippersnapper,’ and ‘Matt’s Wild Cherry.’ These are often not available as plants in local greenhouses, so you might have to start these from seed, and train them to tumble out from the basket. Like I said, this is for the overachievers.